With gamescom, stag dos, weddings, and various trips making the past couple months something of a blur, I’ve finally had time to sit down and gather my thoughts for a few seconds. Although the funny thing about reflection is sometimes you stare too long and don’t get anything done…
Although I’m hesitant to give it the usual kiss of death by talking about it publically, I’ve another story due for publication early/mid next year, courtesy of the good people of Insomnia Publications. By sheer chance I found out this UK based publisher was looking for submissions that were a little off-kilter, strange and different, which seems to be my bag (not just in my writing but, as anyone who knows me will tell you, just in my general personality). I dropped them a line, fired off my long suffering story, Butterflies and Moths, and waited.
Thankfully I didn’t have to wait long before I got a response. Which was, that despite liking it, B&M didn’t quite fit within their portfolio due to its length as a 22 page story. However, the company was interested in a shorter piece which used the same characters, for an upcoming anthology called Layer Zero: Choices. Suitably, my choice was to re-write the script to 12 pages, or write something new.
After mulling it over, I went with something new… and Butterflies and Moths: Fragile was born. And much to my relief, the script is nearly finished, too, in the final few stages of editing and rewrites. In the meantime, Insomnia’s Creative Director, the lovely Nic Wilkinson, did several things which made me very happy. She officially announced the story’s inclusion in the company’s blogsite, the Redeye, in this entry: http://theredeyed.blogspot.com/2008/10/trick-or-treat-choices-from-insomnia.html, convinced the artist who did the original sketches for the first B&M to draw the story (take a bow Ariyana – yep, the same extremely talented young lady who’s working with me on another story, the previous entry’s A Twilight’s Promise) and then made another official announcement in this entry: http://theredeyed.blogspot.com/2008/11/nightly-news.html along with the cover to the anthology.
So, Butterflies and Moths: Fragile is coming to your shelves in 2009, through Layer Zero: Choices, all things willing. There’s lots of things going on behind the scenes which are very promising, and this is hopefully just the start of that – I have a lot of plans in the pipeline as usual, after a far too long stint of moping and waiting and more moping. What’s capped off the whole thing so far is that my friend, Matthew Gibbs, has also been signed up for Layer Zero with his excellent story, Erratum. Expect more on that as well, soon.
Fragile itself will be talked about a fair bit in the coming months as the promotion for the anthology starts up, so I’ll save my spiel for then, but I’ll leave this section with a tiny bit of blurb and some artwork that Ariyana did for the original B&M which will be developed for Fragile. Hope you enjoy this tiny glimpse.
Butterflies and Moths: Fragile – coming in Layer Zero: Choices, in 2009
What would you do if the one person closest to you asked you to do something that put her life and your soul in danger?
What if the one person closest to you asked you to do the impossible?
What if you could do the impossible…
…and didn’t even know it?
Unrelated to this page: records of crystals:
Entry from Alexandria via LeMat-Bulk: a relaxed structure of CsEr2Cu3S5 (PBE).

Cell: 7.3071 7.3071 16.7187 Å, 90.00 90.00 148.62°
Closest atoms and distances in Å follow each position.
Sites, in units of the cell vectors:
Cs 0.9369 0.0631 0.2500  8 S 3.39-3.56, 2 Cu 3.68
Cs 0.0631 0.9369 0.7500  8 S 3.39-3.56, 2 Cu 3.68
Er 0.1919 0.8081 0.4084  6 S 2.69-2.79
Er 0.1919 0.8081 0.0916  6 S 2.69-2.79
Er 0.8081 0.1919 0.5916  6 S 2.69-2.79
Er 0.8081 0.1919 0.9084  6 S 2.69-2.79
Cu 0.5845 0.4155 0.5362  4 S 2.38-2.43
Cu 0.5845 0.4155 0.9638  4 S 2.38-2.43
Cu 0.4155 0.5845 0.0362  4 S 2.38-2.43
Cu 0.3424 0.6576 0.7500  2 S 2.24
Cu 0.6576 0.3424 0.2500  2 S 2.24
Cu 0.4155 0.5845 0.4638  4 S 2.38-2.43
S 0.8296 0.1704 0.0683  2 Cu 2.38
S 0.4372 0.5628 0.8919  2 Cu 2.40-2.43
S 0.4372 0.5628 0.6081  2 Cu 2.40-2.43
S 0.5628 0.4372 0.3919  2 Cu 2.40-2.43
S 0.2318 0.7682 0.2500  2 Cu 2.24
Before the strike of 12, Angelica Delapz opened her 18th birthday presents. On the strike of 12, she was imparted with another gift.
And through a horrible, horrific explosion of blood and destiny…
Hopes, desires… lives… everything can be broken… as if distantly flying on the fragile wings of a…
What the hell is going on?
Well, as you already know, my WipEout HD fiction was published last month. What you may not have known is that indie anthology comic series Tales from the Plex was re-launched as a monthly in November, which you may have noticed via the banner on the right hand side of this site. The book will run through the rest of 2008 and all of 2009, with a variety of different stories available each month. It’s also the home of a comedy series I devised, called L33tspeak, which I’ve mentioned a couple times on here before, drawn by the lovely and wonderfully patient Stephanie O’Donnell, (not only the artist of L33tspeak but also the great talent behind the excellent The Original Nutty Funsters, a drama/comedy strip which is really starting to gather some much deserved attention after the release of the collection, A List of Grievances). Tales from the Plex will also be the place where A Twilight’s Promise will be published, next year. Yay!
VIRTUA-GIRL by Chris J Powers & Matthew Weldon, IT’S THE BEER TALKINGby Russell Hillman & Sergio Calvet, L33TSPEAK by Corey Brotherson &Stephanie O’Donnell, CROW’S FOLLOW by Cassie Summer (illustrated byBrian J. Crowley) and GUSSY AND PETERSHARK by Jesse Farrell.
28 pages, black and white, RRP: $2.50
MY OLD FLAME by Jesse Farrell, DEMI-DEMZ by Daniel Lundie, DOWN BY THE RIVER by Chad Nevett, Ze Troia & Nate Thompson, COLOSSAL BOY 3 Part 1 by Daniel Lundie, Celina Hernandez, Mike Murphy & Darren Schwindaman, L33TSPEAK by Corey Brotherson & Stephanie O’Donnell and TACO ON THE BEACH by Shironu Akaineko
Buy it here: http://www.indyplanet.com/catalog/product_info.php?products_id=1467
I’ll talk more about L33tspeak in coming entries, but Issue three of Tales from the Plex will be out later this month, alongside its publishing stablemate, The Darkling by Chris J Powers, a great monthly limited series about a young girl trying to find her way through life… by being dead. Oh, did I mention she’s blue skinned vampire? And has to deal with some really, really weird stuff? It’s Bridget Jones meets Interview With The Vampire – a madcap fantasy comedy drama that’s unlike anything else in the graphic novel medium.
Buy it here: http://www.indyplanet.com/catalog/advanced_search_result.php?osCsid=730f357c8da3f2554031232145f9c6d5&keywords=darkling&osCsid=730f357c8da3f2554031232145f9c6d5
Why not give them a try?
And that’s me for now. Thanks for reading, as always.